Class DomainSchemaContext

All Implemented Interfaces:
IDomainSchemaContext, IPortalContext, IInternalPortalContext, Serializable

Records of crystals, as found in the file.
********
Compound: Rb3SiF6
Source: Alexandria
Functional: PBE-GGA
Structure: optimized geometry

```
Rb3SiF6
1.0
6.0644 0.1988 0.0000
-0.7463 6.0216 0.0000
-2.6591 -3.1102 6.0884
F Si Rb
6 1 3
Direct
0.9492 0.9492 0.2007
0.8079 0.1921 0.0000
0.0508 0.0508 0.7993
0.2515 0.2515 0.2007
0.7485 0.7485 0.7993
0.1921 0.8079 0.0000
0.0000 0.0000 0.0000
0.2500 0.7500 0.5000
0.5000 0.5000 0.0000
0.7500 0.2500 0.5000
```

Calculated values
energy relative to the elements, uncorrected	-2.7328	eV per atom
polymorph energy (0 for the lowest one)	0.000	eV/atom
crystal system	orthorhombic
raw total energy	-0.1723	Ha/atom
********

public class DomainSchemaContext extends PortalContextDelegate implements IDomainSchemaContext
See Also:
  • Constructor Details

  • Method Details

    • getParameters

      public IParameters getParameters()
      Specified by:
      getParameters in interface IDomainSchemaContext
    • getProfile

      public InferenceContext getProfile()
      Description copied from interface: IPortalContext
      This method will return the current profile interface. In addition to the standard profile behavior, the implementation returned here will also automatically inference unknown values, and is aware of the instances that might have been activated during the page flow.

      See also getUserProfile()

      Specified by:
      getProfile in interface IPortalContext
      getProfile in class PortalContextDelegate
      Profile interface.
    • getActiveInstance

## Next to the text, the page also holds data records
........
P:
BaReAs (meta-GGA SCAN, single point on PBEsol structure); DOS(E_F) = 0.97 states/eV/cell; density = 8.59 g cm⁻³; V = 25.666 Å³ per atom; magnetization = 0.000 μB/atom
1.0
4.177 0.000 0.000
-2.088 3.617 0.000
0.000 0.000 5.097
Ba Re As
1 1 1
direct
0.000 0.000 0.000
0.333 0.667 0.500
0.667 0.333 0.500

---

Q:
BaReAs (meta-GGA SCAN, single point on PBEsol structure); DOS(E_F) = 3.23 states/eV/cell; density = 10.06 g cm⁻³; V = 21.922 Å³ per atom; magnetization = 0.000 μB/atom
1.0
3.322 0.000 0.000
0.000 3.322 0.000
0.000 0.000 11.920
Ba Re As
2 2 2
direct
0.000 0.000 0.000
0.500 0.500 0.500
0.000 0.000 0.298
0.500 0.500 0.798
0.000 0.000 0.715
0.500 0.500 0.215

---

Each structure's energy above the most stable one, in kJ/mol of atoms: P 0.0; Q 8.4.

=====

First-principles (PBE-GGA) data for crystalline ZrAs2SO at its relaxed geometry, as listed in the Alexandria database.

* E_form (uncorrected): -31 meV per atom
* Fermi-level density of states: 1.40 states/eV per cell
* magnetization: 0.000 μB/atom

Unit cell a=4.9878 b=4.9878 c=3.4752 alpha=90.00 beta=90.00 gamma=90.00
........

      public IEntityInstance getActiveInstance(String entityName)
      Description copied from interface: IPortalContext
      Returns the active instance connected to the specified entity name. An instance might have been activated in the following ways:
      • The instance is a singleton, and therefore always active.
      • The instance is activated through a container (only during page evaluation).
      • The instance is activated by using the pushActiveInstance within the same flow.
      Specified by:
      getActiveInstance in interface IPortalContext
      getActiveInstance in class PortalContextDelegate
      entityName - The entity name for which the active instance is requested.
      The instance that is active for the specified entity type.
    • getElementComposer

Materials data that have nothing to do with the article:
--- A ---
DFT (PBE-GGA) results for an optimized crystal structure of KMn2Cr.

extended XYZ file:
```
12
Lattice="2.982 0.000 0.000 -1.491 2.583 0.000 0.000 0.000 29.177" Properties=species:S:1:pos:R:3 pbc="T T T"
K 0.000 0.000 0.000
K 0.000 1.722 19.451
K 1.491 0.861 9.726
Mn 0.000 0.000 6.649
Mn 0.000 0.000 22.528
Mn 0.000 1.722 12.802
Mn 0.000 1.722 26.100
Mn 1.491 0.861 3.077
Mn 1.491 0.861 16.374
Cr 0.000 0.000 14.588
Cr 0.000 1.722 4.863
Cr 1.491 0.861 24.314
```

Computed properties:
Mass density in g/cm3: 4.45

--- B ---
DFT (PBE-GGA) results for an optimized crystal structure of KMn2Cr.

extended XYZ file:
```
8
Lattice="2.932 0.000 0.000 0.000 5.360 0.000 0.000 0.000 10.407" Properties=species:S:1:pos:R:3 pbc="T T T"
K 0.000 0.000 0.000
K 1.466 2.680 5.203
Mn 0.000 0.000 5.457
Mn 0.000 2.680 8.279
Mn 1.466 0.000 3.075
Mn 1.466 2.680 0.253
Cr 0.000 2.680 2.226
Cr 1.466 0.000 7.429
```

Computed properties:
Mass density in g/cm3: 4.08

Ranked by calculated energy, most stable first: A, B.

--- A ---
DFT (PBE-GGA) results for an optimized crystal structure of K2CrMo.

extended XYZ file:
```
12
Lattice="3.024 0.000 0.000 -1.512 2.619 0.000 0.000 0.000 37.216" Properties=species:S:1:pos:R:3 pbc="T T T"
K 0.000 0.000 9.252
K 0.000 0.000 27.964
K 0.000 1.746 15.558
K 0.000 1.746 34.063
K 1.512 0.873 3.153
K 1.512 0.873 21.658
Cr 0.000 0.000 0.000
Cr 0.000 1.746 24.811
Cr 1.512 0.873 12.405
Mo 0.000 0.000 18.608
Mo 0.000 1.746 6.203
Mo 1.512 0.873 31.013
```

Computed properties:
Mass density in g/cm3: 3.82

--- B ---
DFT (PBE-GGA) results for an optimized crystal structure of K2CrMo.

extended XYZ file:
```
16
Lattice="8.264 0.000 0.000 0.000 8.264 0.000 0.000 0.000 8.264" Properties=species:S:1:pos:R:3 pbc="T T T"
K 2.066 2.066 2.066
K 2.066 2.066 6.198
K 2.066 6.198 2.066
K 2.066 6.198 6.198
K 6.198 2.066 2.066
K 6.198 2.066 6.198
K 6.198 6.198 2.066
K 6.198 6.198 6.198
Cr 0.000 0.000 0.000
Cr 0.000 4.132 4.132
Cr 4.132 0.000 4.132
Cr 4.132 4.132 0.000
Mo 0.000 0.000 4.132
Mo 0.000 4.132 0.000
Mo 4.132 0.000 0.000
Mo 4.132 4.132 4.132
```

Computed properties:
Mass density in g/cm3: 2.66

--- C ---
DFT (PBE-GGA) results for an optimized crystal structure of K2CrMo.

extended XYZ file:
```
8
Lattice="3.226 0.000 0.000 0.000 4.957 0.000 0.000 0.000 12.387" Properties=species:S:1:pos:R:3 pbc="T T T"
K 0.000 0.000 3.028
K 0.000 0.000 9.359
K 1.613 2.479 3.028
K 1.613 2.479 9.359
Cr 0.000 2.479 6.194
Cr 1.613 0.000 6.194
Mo 0.000 2.479 0.000
Mo 1.613 0.000 0.000
```

Computed properties:
Mass density in g/cm3: 3.79

--- D ---
DFT (PBE-GGA) results for an optimized crystal structure of K2CrMo.

extended XYZ file:
```
8
Lattice="3.185 0.000 0.000 0.000 3.810 0.000 0.000 0.000 20.998" Properties=species:S:1:pos:R:3 pbc="T T T"
K 0.000 0.000 3.150
K 0.000 0.000 17.847
K 1.593 1.905 7.349
K 1.593 1.905 13.649
Cr 0.000 1.905 10.499
Cr 1.593 0.000 0.000
Mo 0.000 1.905 0.000
Mo 1.593 0.000 10.499
```

Computed properties:
Mass density in g/cm3: 2.95

      public IElementComposer getElementComposer()
      Description copied from interface: IPortalContext
      This method returns an element factory that may be used to expand pre-defined elements from the composer using the current container context.
      Specified by:
      getElementComposer in interface IPortalContext
      getElementComposer in class PortalContextDelegate
      An element factory that can be used to expand elements from the composer.
    • getMappingComposer

      public IMappingComposer getMappingComposer()
      Description copied from interface: IPortalContext
      This method returns an element factory that may be used to expand pre-defined elements from the composer using the mapping context.
      Specified by:
      getMappingComposer in interface IPortalContext
      getMappingComposer in class PortalContextDelegate
      An element factory that can be used to expand elements from the composer.